Should newborns be screened for Krabbe disease?

This article was jointly reported by WebMD Health News and Georgia Health News

Jackson Garcia was born “healthy and round and full of hair.”

But at 5 months old, he started getting fussy around mealtimes and refused food. “My worst fear was colic,” said his mother, April Garcia, who lives in Lawrenceville, Ga..

April and Daniel Garcia, with photos of Jackson, after legislative hearing.
April and Daniel Garcia, with photos of Jackson, after legislative hearing.

When Jackson didn’t improve, he was admitted to the hospital. After a few days of keeping him in intensive care, his medical team called the Garcias into a room filled with doctors.

“We know what’s wrong with Jackson,” they said.

It was a death sentence called Krabbe disease.

In Krabbe (pronounced crab-ay), the body fails to produce enough of an enzyme that’s key to wrapping protective insulation called myelin around nerves. Without it, the brain and nerves deteriorate. Children who develop symptoms as babies become irritable and hard to soothe around 6 months, and they lose their ability to swallow. Their muscles start to spasm and contract. That’s followed by mental deterioration, blindness, deafness, and seizures.

Babies with Krabbe typically die before their second birthday, and it is an agonizing death.

The doctors told Garcia they were sorry. Nothing could be done. There was a treatment, but it wouldn’t help Jackson. His disease was already too advanced.

Garcia didn’t believe them. She got onto the computer. She searched for any hope.

“You know what the advice [on the Internet] is?” she said. “Go home and take pictures, so we have pictures.”

Garcia told Jackson’s story as she recently testified before the Georgia House Health and Human Services Committee in support of a bill that’s been named Cove’s Law, for 19-month-old Cove Ellis, another child in Georgia recently diagnosed with Krabbe disease.

The bill they are asking the Legislature to pass, House Bill 241, would give parents in Georgia the option to have newborns screened for Krabbe. The bill cleared the state House of Representatives last week and now heads to the Senate for consideration. The screening would cost $5 to $7 per test, which involves taking a small spot of blood from an infant’s heel.

Many doctors and geneticists have doubts about the screening, however. While they are sympathetic to the parents’ cause, they say it will do more harm than good.

Krabbe has no cure. There is a treatment available — a stem cell transplant — but it’s very risky. Not all children survive it. Those that do often face physical and developmental delays. The treatment can cause other problems, too, including damage to the heart, lungs, or liver and a severe complication called graft-versus-host disease — where the transplanted cells attack their host body, causing problems like organ damage, joint pain, and fatigue that can last a lifetime.

hands and feet

Then there are problems with the screening test. One is that it has a high percentage of false positives. One recent study found the test correctly identifies a child who has the early, aggressive form of the disease about 1 percent of the time.

The other 99 percent of children who test positive won’t have the disease, but they’ll still need additional tests to rule it out. Those additional tests can produce their own uncertain results that can leave many families in a kind of medical limbo. These families go through a different kind of torment, one that’s not often heard about by the state legislators.

“Everyone wants to do the right thing for kids,” says William Wilcox, MD, PhD, a professor of human genetics at the Emory University School of Medicine. The testing, he said, “is being pushed with the wrong information. They’re doing real harm. When there is better testing and treatment, we will support screening for all babies.’’

Garcia says she’s aware of the debate over screening and the latest science. She keeps up with families who’ve benefited from the stem cell transplants and feels like others should at least have the chance to make a choice she did not. Her son, Jackson, died in October.

“I promise I’m not just living in a fantasy world,’’ Garcia says.

A harsh treatment offers hope

The form of Krabbe disease that strikes newborns is caused by a change, or mutation, in the gene that carries the blueprints for an enzyme called galactosylceramidase, or GALC for short. The disease is rare, striking between 1 in 100,000 and 1 in 350,000 babies.

Before doctors figured out how to screen newborns for Krabbe, the way most parents discovered they carried the gene was that they watched a child die from it.


A 2005 study published in The New England Journal of Medicine was the first sign of hope for these families.

In that study, researchers at Duke University and the University of North Carolina described the outcomes of pioneering stem cell transplants for babies who had been diagnosed with Krabbe. The stem cells are derived from donated umbilical cord blood.

Study author Joanne Kurtzberg, MD, who pioneered the transplants and is director of Duke’s pediatric bone marrow transplant program, says the donor cells can help replace the missing enzyme.

To prepare for a transplant, doctors give babies powerful chemotherapy drugs that kill their diseased cells and suppress their immune systems. This takes 10 days.

After the chemotherapy, the babies get the donated stem cells through an IV. If all goes well, the cells travel to the bone marrow and begin to grow, replacing diseased blood cells with new cells that can produce the missing enzyme. Of the 25 children enrolled in the original study, 11 were newborns who had not yet begun to show symptoms of the disease, and 14 were older babies who had already begun to deteriorate.

Eight of the 14 older babies died during or shortly after their transplants. The rest of those children did not die, but they also didn’t really improve, Kurtzberg says.

But for the 11 youngest babies, the results were astonishing. At the time the study was published, researchers had followed them for three years. They were all still living. Six had already had longer lives than their siblings who had died of Krabbe.

Aware of the promising results, former Buffalo Bills quarterback Jim Kelly and his wife, Jill, persuaded lawmakers in New York state to start screening babies for Krabbe, which had afflicted their son Hunter.

The Kellys run a foundation called Hunter’s Hope that supports families affected by Krabbe and lobbies for newborn screening.

Cove Ellis and parents
Cove Ellis and parents

New York launched its program in 2006, and three other states — Missouri, Kentucky and Ohio — have also added Krabbe to their newborn testing panels.

But momentum has slowed as other evidence surfaced about the ambiguities of testing and the value of the treatment. Six other states — Illinois, Louisiana, New Jersey, New Mexico, Pennsylvania and Tennessee — have passed laws that would allow screening but have not yet implemented their programs. In some of those cases, state health departments have blocked screening for Krabbe, citing both the expense of the testing and the lack of clear benefit from the treatment.

Many of these states point to a decision issued by the Secretary’s Advisory Committee on Heritable Disorders in Newborns and Children, a national panel that makes recommendations for newborn screening for the U.S. Department of Health and Human Services. In 2010, the panel reviewed the evidence for screening children for Krabbe. It concluded that  the disease should not be added to a recommended list of 32 disease screenings that scientists say clearly benefit children.

The panel found that while infants with the early onset form of the disease probably would benefit from early detection, they also found “substantial harm is possible (either from testing and/or identification; from treatment/other interventions, or both).”

Hard lessons learned in New York

Researchers who reviewed results from New York’s program agreed. From 2006 through 2014, the state screened almost 2 million infants by pricking their heel and swabbing a small spot of blood on a card.

Of those tests, nearly 350 families got a call that their baby might have Krabbe.

Of those 350 families, additional testing confirmed the early, aggressive form of Krabbe in just five babies, making the disease much rarer than doctors initially thought. Two other babies were identified as at risk for the disease but didn’t have a definite diagnosis.

Doctors offered the risky stem cell transplants to seven of the families.

Of the five with confirmed Krabbe, one family declined the transplant, and their baby died at 18 months. Of the four babies who went through with the procedure, two died of complications of the transplant. The other two have survived, though with some challenges.

The first survivor, who was 8 at the time the study was published, needs help to walk, and his growth has been stunted, though he can understand what people say to him. The other child, 5 at the time, had developed graft-versus-host disease, and doctors in New York say she is failing to thrive.

In the two kids where the diagnosis was iffy, parents refused the transplant but did agree to let doctors follow their children with additional testing. Over time, those babies improved, and they were no longer considered candidates for transplant. Researchers consider those cases to be uncomfortably close calls, given the risks of the transplant itself.


Bobbie Salveson, a nurse practitioner, was studying for her PhD as New York began screening for Krabbe. She became involved with the Krabbe families because her mentor was helping to implement the program. She eventually focused her graduate work on the project.

“I’ve been a nurse and a nurse practitioner for more than 30 years. I’ve seen a lot. That was probably the worst disease I’ve ever seen. It’s truly horrific,” says Salveson, who is now a clinical assistant professor of at the University of Washington in Seattle.

“But, the kids who got transplanted didn’t do a whole lot better. Better, I guess, in that they weren’t arched back and screaming all the time; but better as far as development, not so much,” she says.

Salveson also reached out to families who initially got a call that their baby might have Krabbe but were later cleared of the disease. Many of those families declined to participate in her research. They wanted to put their brush with Krabbe behind them, but a few agreed to share their stories.

## These records of crystals were left in the article by mistake
********
This entry pairs a crystal structure of HfMg6FeO8 with its simulated PXRD pattern. Radiation: Cu Kα, 1.54184 Å. Structure: a cell relaxed with PBE+U.
Lines closer than 0.1° are merged.

Largest 8 diffraction maxima, in order of rising 2θ, 10 to 80 degrees two-theta:
2θ/deg	I/Imax
10.01	100
20.10	25
22.89	29
30.94	35
35.70	46
40.85	32
41.76	60
59.84	37

Atomic structure:
a b c (Å): 4.326 4.326 8.837
angles (deg): 90.00 90.00 90.00
Positions (direct):
Hf: 0.000 0.000 0.000
Mg: 0.000 0.000 0.500
Mg: 0.000 0.500 0.259
Mg: 0.000 0.500 0.741
Mg: 0.500 0.000 0.259
Mg: 0.500 0.000 0.741
Mg: 0.500 0.500 0.500
Fe: 0.500 0.500 0.000
O: 0.000 0.000 0.256
O: 0.000 0.000 0.744
O: 0.000 0.500 0.000
O: 0.000 0.500 0.500
O: 0.500 0.000 0.000
O: 0.500 0.000 0.500
O: 0.500 0.500 0.262
O: 0.500 0.500 0.738

~~~~~

Record 1
Calculated powder diffractogram of Li6Zn12Cd for Cu Ka, from a DFT-relaxed cell (GGA-PBE, Alexandria).
Kinematic intensities with the Lorentz-polarization factor, no thermal factor.

Crystal structure
```
data_Li6Zn12Cd
_chemical_formula_sum 'Li6 Zn12 Cd1'
_cell_length_a 6.6338
_cell_length_b 6.6338
_cell_length_c 6.6338
_cell_angle_alpha 91.23
_cell_angle_beta 91.23
_cell_angle_gamma 91.23
_space_group_name_H-M_alt 'P 1'
_space_group_IT_number 1
_space_group_name_Hall 'P 1'
loop_
_atom_site_label
_atom_site_fract_x
_atom_site_fract_y
_atom_site_fract_z
_atom_site_occupancy
Li1 0.2250 0.7736 0.6151 1
Li2 0.2264 0.3849 0.7750 1
Li3 0.3849 0.7750 0.2264 1
Li4 0.6151 0.2250 0.7736 1
Li5 0.7736 0.6151 0.2250 1
Li6 0.7750 0.2264 0.3849 1
Zn1 0.0232 0.9386 0.2977 1
Zn2 0.0614 0.7023 0.9768 1
Zn3 0.1174 0.4610 0.3385 1
Zn4 0.2977 0.0232 0.9386 1
Zn5 0.3385 0.1174 0.4610 1
Zn6 0.4610 0.3385 0.1174 1
Zn7 0.5390 0.6615 0.8826 1
Zn8 0.6615 0.8826 0.5390 1
Zn9 0.7023 0.9768 0.0614 1
Zn10 0.8826 0.5390 0.6615 1
Zn11 0.9386 0.2977 0.0232 1
Zn12 0.9768 0.0614 0.7023 1
Cd1 0.5000 0.5000 0.5000 1
```

Principal peaks in the range 10 to 90 degrees two-theta, low angle first:
18.72°, 4.741 Å, I = 35.1; 23.06°, 3.857 Å, I = 21.2; 26.89°, 3.315 Å, I = 48.4; 29.87°, 2.992 Å, I = 100.0; 32.72°, 2.737 Å, I = 14.7; 40.41°, 2.232 Å, I = 66.2; 40.83°, 2.210 Å, I = 72.6; 41.65°, 2.168 Å, I = 69.2; 42.84°, 2.111 Å, I = 61.0; 43.44°, 2.083 Å, I = 64.2; 45.27°, 2.003 Å, I = 20.9; 63.63°, 1.462 Å, I = 15.4

---

Record 2
Calculated powder diffractogram of Li3Zn3Cd2 for Cu Ka, from a DFT-relaxed cell (GGA-PBE, Alexandria).
Kinematic intensities with the Lorentz-polarization factor, no thermal factor.

Crystal structure
```
data_Li3Zn3Cd2
_chemical_formula_sum 'Li6 Zn6 Cd4'
_cell_length_a 3.1747
_cell_length_b 12.2882
_cell_length_c 7.1011
_cell_angle_alpha 90.00
_cell_angle_beta 90.00
_cell_angle_gamma 90.00
_space_group_name_H-M_alt 'P 1'
_space_group_IT_number 1
_space_group_name_Hall 'P 1'
loop_
_atom_site_label
_atom_site_fract_x
_atom_site_fract_y
_atom_site_fract_z
_atom_site_occupancy
Li1 0.0000 0.0000 0.0000 1
Li2 0.0000 0.1874 0.5610 1
Li3 0.0000 0.3126 0.0610 1
********

One mother told Salveson she had so much anxiety after the screening that doctors prescribed her “pills for depression and stuff like that.” Later, she started hurting herself. “It was a way to get the pain off me, I guess, even though the pills weren’t helping,” she told Salveson.

Another mother said the shock of the test results caused her breast milk to dry up. She was never able to breastfeed her daughter. “I was pretty sick. I couldn’t eat. I thought she was going to die,” she said.

Specialists who saw the babies deemed to be at high risk told Salveson that many families who initially got positive test results were furious. They had never consented to the screening. They wanted to know why their babies who seemed perfectly healthy were now going through invasive follow-up tests like spinal taps only to get uncertain results.

In 46 cases, the kids didn’t have the early onset form of the disease, but gene tests and imaging scans suggested they could get it later, though doctors couldn’t tell their parents when that might happen or how to live with such an uncertain prognosis.


After eight years of screening, it turned out that the Krabbe screening test used in New York correctly detects a baby with the early aggressive form of the disease only about 1 percent of the time.

“There were two lives that were saved because of it. I wish the treatment was more effective in terms of them having fewer delays and better growth than they’re having,” says study author Melissa Wasserstein, MD, chief of the division of pediatric and adolescent medicine at Children’s Hospital at Montefiore in New York.

“It is concerning that we’re just kind of transforming it into more of a chronic disease,” she says.

The results of the New York screening program were published in December in the journal Genetics in Medicine. In a commentary on the study, an independent expert says the outcomes suggest that New York should put its newborn screening program for Krabbe on hold, until either the screening test or the treatment improves.

In an emailed statement, the New York Department of Health says that it is trying to refine its screening program for Krabbe but that it continues to test infants for the disease.

“The evidence shows that Krabbe screening has cost the state a lot, both in dollars for the testing itself, in physician time to examine children who have a screening test that turns out to be a false positive, in parental anguish among the children who are thought to be at risk but, to date, have no symptoms of disease. Clearly, after over 2,000,000 screening tests, the program has yet to show any of the benefits that people were hoping it would,” says John Lantos, MD, director of pediatric bioethics at the University of Missouri-Kansas City School of Medicine.

Reconciling the evidence

Screening advocates disagree that the New York program was a failure.

“The outcome for children who aren’t diagnosed in time for treatment versus those who are is tremendous. I’ve met several children who have undergone treatment — they go to school, they’re mobile, they’re able to communicate, and most importantly, they are living,” says Anna Grantham, a spokeswoman for Hunter’s Hope, in a written statement to WebMD.

Jackson Garcia
Jackson Garcia

Kurtzberg, the doctor who leads the stem cell transplants at Duke, has not published a long-term follow-up study on the 50 children with Krabbe that she’s transplanted since 1995.

But she  says they basically fall into three different groups. The first group is “pretty normal.” The second group can think and reason, and they have pretty good upper body function — they can talk and eat, but they need some help walking. The third group requires wheelchairs, and they “look like kids who have cerebral palsy.”

In an email, Dr. Kurtzberg said the oldest living survivor from her program is now 22.

She says she’s learned that the transplants work best when performed before babies are 30 days old, which makes finding these kids a race against time. That’s the main reason she says she’s a strong advocate for screening.

Other researchers question the long-term outcomes of babies given stem cell transplants for Krabbe, including the babies transplanted at Duke. The last time experts shared results publicly was at a meeting in 2008 in Holiday Valley, NY.

Of the 16 babies originally transplanted at Duke before they showed symptoms, all were spastic, meaning they had trouble controlling their muscles; five had tubes implanted in their stomachs to help with feeding; and all had delayed growth. They were able to understand speech, but all had trouble speaking themselves. Half needed braces or canes to walk, while four were able to walk on their own. Doctors had judged their brains and mental functions to be normal.

“Dr. Kurtzberg’s conclusions are incomplete,” Salveson says. “I would feel far better about this if there was a quality-of-life study done, but there hasn’t been; or if they were able to actually speak to the parents who did not have good outcomes. I imagine they’d have a much different point of view.”

Because doctors are treating babies before they show symptoms, and there’s some uncertainty about the kinds of genetic changes that cause the disease, it’s possible that some babies could be treated when they might not need to be, said H. Gilbert Welch, MD, a professor of medicine at the Dartmouth Institute in Lebanon, NH.

Parents bet on improved treatments

Kurtzberg and her team are now trying a new protocol, one that involves transfusing two sets of cells to try to improve outcomes for these babies.

Three-month-old Tygh DeRossett is trying that therapy. He was born Nov. 29, 2016, in Kentucky, a state that began screening babies for Krabbe disease last year.

Tygh DeRossett

When Tygh went for his first checkup, his parents got the awful news that he had screened positive.

Referred to Duke, Tygh began preparations for a stem cell transplant at 8 days old. He got a second set of cells when he was 28 days old.

“He’s pretty much excelled through everything,” says his mother, Amanda DeRossett. “There’s no sign of the disease.”

They were supposed to leave the hospital this week, but Tygh’s oxygen level keeps dropping at night. His doctors aren’t sure why.

Amanda believes Tygh will grow up to be a normal kid.

Asked how she feels about screening, now that they’ve been through the procedure, Amanda says, “I think the parents should at least be informed and have the option of doing the blood test.”

She adds, “I think it’s something that should at least be talked about.”


An earlier version of this article incorrectly stated that an 18-year-old child who died last year was the oldest known Krabbe disease survivor. The oldest known survivor from the Duke program is now 22, according to Dr. Kurtzberg.  

In addition to New York, three other states—Missouri, Kentucky and Ohio, have added Krabbe disease to their Newborn screening panels. 

Six other states — Illinois, Louisiana, New Jersey, New Mexico, Pennsylvania and Tennessee — have passed laws that would allow screening but have not yet implemented their programs. In some of those cases, state health departments have blocked screening for Krabbe, citing both the expense of the testing and the lack of clear benefit from the treatment.

Brenda Goodman is a staff writer for WebMD.  Her work has appeared in The New York Times, Scientific American, Psychology Today, The Boston Globe, Self, Shape, Parade, U.S. News and World Report, and Atlanta Magazine. She has a master’s degree in science and environmental reporting from New York University.


April Garcia, Jackson’s mom, Lawrenceville, GA.

Brooke Adams, cousin of Cove Ellis, Cleveland, GA.

Lee Hawkins, Republican state representative, Gainesville, GA.

John Lantos, MD, director, pediatric bioethics, University of Missouri-Kansas City School of Medicine.

William Wilcox, MD, PhD, professor of human genetics, Emory University School of Medicine, Atlanta.

Joanne Kurtzberg, MD, director, pediatric bone marrow transplant program, Duke Children’s Hospital & Health Center, Durham, NC.

Roberta Salveson, PhD, clinical assistant professor, University of Washington, Seattle.

Anna Grantham, spokeswoman, Hunter’s Hope, Orchard Park, NY.

Melissa Wasserstein, MD, chief, division of pediatric genetic medicine, Children’s Hospital at Montefiore, Bronx, NY.

Amanda DeRossett, mother of a child with Krabbe, Puryear, TN.

New England Journal of Medicine, May 19, 2005.

Genetics in Medicine, December 2016.

Genetics in Medicine, June 2009.